Source:
- - -
13
Properties=species:S:1:pos:R:3 method="wB97M-V/def2-TZVPD" homo_energy_ev="-12.99 / -11.56" spin_multiplicity=3 e_above_lowest_ev=1.199 total_charge=+1 gap_ev="8.0 / 6.0" molar_mass_g_mol=255.024
Tm 0.607 1.441 0.647
O -1.365 -1.268 0.197
O 1.699 -0.159 0.266
C 0.972 -1.044 -0.549
C -2.401 -0.488 0.618
C -2.483 0.747 0.050
C -0.488 -0.634 -0.766
H -3.287 1.370 0.450
H -0.793 -0.919 -1.782
H 1.445 -1.111 -1.551
H -3.290 -1.112 0.760
H -1.831 0.355 -1.155
H 0.989 -2.064 -0.114

14
Properties=species:S:1:pos:R:3 method="wB97M-V/def2-TZVPD" homo_energy_ev="-23.76 / -24.01" spin_multiplicity=5 total_charge=+3 gap_ev="6.0 / 9.2" molar_mass_g_mol=247.089
Pm 1.354 3.269 0.176
O 1.621 0.937 -0.547
O -1.743 1.361 0.225
O 0.099 0.245 0.862
C -0.600 1.480 0.703
C 1.286 0.036 0.223
C 1.716 -1.370 0.183
C -2.183 0.042 -0.475
H 1.150 -1.895 -0.600
H -2.247 -0.693 0.333
H 1.449 -1.871 1.124
H 2.792 -1.440 0.011
H -1.561 -0.389 -1.260
H -3.132 0.288 -0.958

14
Properties=species:S:1:pos:R:3 method="wB97M-V/def2-TZVPD" homo_energy_ev=-10.39 e_above_lowest_ev=2.797 gap_ev=11.3 smiles="O=CO[C@@H]1COCO1" molar_mass_g_mol=118.088
O -0.887 1.690 1.709
O 0.806 0.602 0.596
O 0.531 -1.602 -1.377
O -0.960 -0.011 -0.775
C 0.228 1.739 1.241
C 0.015 -0.302 -1.794
C -0.247 -0.346 0.349
C 0.395 -1.672 0.128
H -0.278 -2.560 0.456
H 0.762 0.545 -1.686
H 1.335 -1.645 0.683
H -0.420 -0.428 -2.816
H -0.761 -0.404 1.292
H 1.105 2.539 1.292

14
Properties=species:S:1:pos:R:3 method="wB97M-V/def2-TZVPD" homo_energy_ev=-9.87 e_above_lowest_ev=1.751 gap_ev=10.3 smiles="CC(=O)[C@H](O)C(=O)O" molar_mass_g_mol=118.088
O -0.479 0.508 -1.832
O -1.968 -1.110 -2.316
O 0.566 -1.854 1.287
O -1.962 -1.760 0.345
C 0.292 -0.807 0.793
C -1.125 -0.657 -0.042
C -1.260 -0.512 -1.557
C 1.281 0.320 0.778
H 2.236 -0.202 0.975
H -1.683 0.190 0.373
H 0.961 0.971 1.656
H -1.910 -2.530 -0.257
H 1.187 0.987 -0.088
H -0.326 0.503 -2.758

=====

#one
Molecular formula: C9H12NOS
Method: DFT, the ωB97M-V functional and the def2-TZVPD basis

Element x y z (Å)
C1 0.581 1.265 2.595
C2 -0.232 0.236 3.042
C3 0.895 1.385 1.248
C4 -0.749 -0.697 2.149
C5 0.378 0.471 0.351
C6 -0.454 -0.562 0.811
C7 -0.363 -0.246 -1.697
C8 -2.793 -1.724 -0.524
C9 2.617 0.821 -2.286
N1 0.654 0.471 -1.042
O1 1.966 0.014 -1.317
S1 -0.940 -1.688 -0.514
H1 0.979 1.978 3.300
H2 -0.459 0.146 4.092
H3 1.536 2.173 0.888
H4 -1.363 -1.509 2.508
H5 -1.256 0.366 -1.822
H6 -0.036 -0.687 -2.636
H7 -3.109 -2.018 -1.521
H8 -3.079 -2.480 0.199
H9 -3.190 -0.751 -0.248
H10 2.581 1.880 -2.017
H11 2.189 0.679 -3.285
H12 3.647 0.475 -2.275

Results
Frontier orbital gap, eV: 9.40
E_HOMO, eV: -12.799
Charge: +1

---

#two
Molecular formula: C9H12NOS
Method: DFT, the ωB97M-V functional and the def2-TZVPD basis

Element x y z (Å)
C1 3.088 2.206 -0.754
C2 3.299 0.891 -1.177
C3 1.803 2.550 -0.458
C4 2.249 -0.046 -1.237
C5 0.726 1.626 -0.658
C6 1.003 0.348 -1.011
C7 -2.926 -1.281 1.434
C8 -1.496 -0.477 1.562
C9 -3.139 -1.692 0.048
N1 -0.327 -0.950 0.877
O1 0.284 -2.174 -1.169
S1 -0.328 -0.958 -0.807
H1 3.886 2.819 -0.782
H2 4.325 0.720 -1.689
H3 1.519 3.594 -0.117
H4 2.506 -1.160 -1.378
H5 -0.216 1.941 -0.441
H6 -2.865 -2.044 2.148
H7 -3.638 -0.512 1.539
H8 -1.666 0.542 1.246
H9 -1.296 -0.447 2.601
H10 -3.187 -2.660 -0.288
H11 -3.552 -0.969 -0.668
H12 -0.052 -1.866 1.178

Results
Frontier orbital gap (spin up / spin down), eV: 5.55 / 5.84
E_HOMO (spin up / spin down), eV: -12.529 / -12.529
Charge: +1

---

Most favorable structure: #one. The second most favorable one is 271.2 kJ/mol above it.

---

#one
Molecular formula: CHF2NO2
Method: DFT, the ωB97M-V functional and the def2-TZVPD basis

Element x y z (Å)
C1 0.789 -0.157 0.131
N1 -1.072 0.347 -0.287
O1 -1.570 -0.531 -0.919
O2 -1.460 1.341 0.233
F1 0.862 -1.434 -0.177
F2 0.942 0.002 1.425
H1 1.508 0.432 -0.407

Results
Frontier orbital gap, eV: 10.78
E_HOMO, eV: -10.365
Charge: 0

---

#two
Molecular formula: CHF2NO2
Method: DFT, the ωB97M-V functional and the def2-TZVPD basis

Element x y z (Å)
- - -
To do:
It remains to reproduce the lines earlier on up to the one that holds "-1.561 -0.389", that line included.
Solution:
13
Properties=species:S:1:pos:R:3 method="wB97M-V/def2-TZVPD" homo_energy_ev="-12.99 / -11.56" spin_multiplicity=3 e_above_lowest_ev=1.199 total_charge=+1 gap_ev="8.0 / 6.0" molar_mass_g_mol=255.024
Tm 0.607 1.441 0.647
O -1.365 -1.268 0.197
O 1.699 -0.159 0.266
C 0.972 -1.044 -0.549
C -2.401 -0.488 0.618
C -2.483 0.747 0.050
C -0.488 -0.634 -0.766
H -3.287 1.370 0.450
H -0.793 -0.919 -1.782
H 1.445 -1.111 -1.551
H -3.290 -1.112 0.760
H -1.831 0.355 -1.155
H 0.989 -2.064 -0.114

14
Properties=species:S:1:pos:R:3 method="wB97M-V/def2-TZVPD" homo_energy_ev="-23.76 / -24.01" spin_multiplicity=5 total_charge=+3 gap_ev="6.0 / 9.2" molar_mass_g_mol=247.089
Pm 1.354 3.269 0.176
O 1.621 0.937 -0.547
O -1.743 1.361 0.225
O 0.099 0.245 0.862
C -0.600 1.480 0.703
C 1.286 0.036 0.223
C 1.716 -1.370 0.183
C -2.183 0.042 -0.475
H 1.150 -1.895 -0.600
H -2.247 -0.693 0.333
H 1.449 -1.871 1.124
H 2.792 -1.440 0.011
H -1.561 -0.389 -1.260